Hello there fellow traveler! I’m Sye (They/Them).


I am in emergence, as we all are, learning from the liberatory nature within and around us! I am a white, nonbinary, queer, neuroqueer, anti-zionist ashkenazi jewish healer, living on the unceeded ancestral lands of Huichin and Ohlone peoples. In my practice professionally, I am credentialed as Registered Drama Therapist. I aim to offer a healing container and relationship that honors your creative shape and unique way of experiencing the world. I strive to show up as my authentic & connected self, with the hope of inviting you to do the same! You may find the below a longer share, and it is my hope that this helps you feel into my story, energy, and way of being in the world to determine if there is some resonance. Thank you for being here and for your curiousness.

(Next to the piece, the page also holds records of molecules)
+++
Computed, not measured: one molecule with the formula C5H13N at a distorted geometry, with ωB97M-V/def2-TZVPD.

Structure (ORCA input):
```
! wB97M-V def2-TZVPD RIJCOSX def2/J DEFGRID3
* xyz 0 1
C -1.351 -1.109 -0.280
C -0.305 -0.063 -0.080
C -0.503 1.182 -1.022
C -0.478 0.564 1.387
C 1.075 -0.823 -0.075
N 2.188 0.130 -0.145
H -2.348 -0.476 -0.362
H -1.565 -1.903 0.472
H -1.307 -1.673 -1.259
H -1.225 2.049 -0.679
H 0.492 1.688 -1.304
H -0.751 0.769 -2.059
H -0.418 -0.094 2.231
H 0.245 1.386 1.463
H -1.491 1.168 1.468
H 1.086 -1.511 0.883
H 1.231 -1.451 -1.027
H 2.327 0.528 0.765
H 3.099 -0.360 -0.373
*
```

E_LUMO = 0.906 eV
HOMO-LUMO gap = 10.26 eV
electronic energy = -6884.787 eV
energy relative to the best compared isomer or geometry (same formula, charge and spin) = 32.5 kcal per mole
SMILES = CC(C)(C)CN

=====

Computed, not measured: one molecule with the formula C2H4F2S at a distorted geometry, with ωB97M-V/def2-TZVPD.

Structure (ORCA input):
```
! wB97M-V def2-TZVPD RIJCOSX def2/J DEFGRID3
* xyz 0 1
F -2.100 -0.608 -0.020
C -0.915 0.084 -0.183
F -1.079 1.437 0.176
C 0.393 -0.465 0.256
S 2.108 0.091 -0.020
H -0.615 0.172 -1.142
H 0.392 -1.361 -0.118
H 0.219 -0.718 1.340
H 1.596 1.368 -0.291
*
```

E_LUMO = 0.792 eV
HOMO-LUMO gap = 10.52 eV
electronic energy = -18407.286 eV
energy relative to the best compared isomer or geometry (same formula, charge and spin) = 44.0 kcal per mole
SMILES = FC(F)CS

=====

Computed, not measured: a 2-piece molecular cluster, C3H9NO2S overall at a distorted geometry, with ωB97M-V/def2-TZVPD.

Structure (ORCA input):
```
! wB97M-V def2-TZVPD RIJCOSX def2/J DEFGRID3
* xyz 0 1
O -2.367 -0.915 -0.624
C -1.316 -0.784 -1.211
N -0.265 -0.032 -0.791
C 1.125 -0.315 -1.047
C 2.043 0.112 0.071
S 1.540 -0.484 1.706
H -1.136 -1.396 -2.107
H -0.522 0.329 0.114
H 1.231 -1.379 -1.293
H 1.427 0.197 -1.974
H 3.057 -0.206 -0.163
H 2.051 1.201 0.142
H 1.050 0.670 2.268
O -2.047 2.288 0.028
H -2.672 2.967 -0.221
H -2.660 1.551 -0.142
*
```

E_LUMO = 0.719 eV
HOMO-LUMO gap = 10.18 eV
electronic energy = -19677.119 eV
energy relative to the best compared isomer or geometry (same formula, charge and spin) = 29.8 kcal per mole
SMILES = O=CNCCS.O

=====

Computed, not measured: C19H27BN11Sc as an isolated structure, with ωB97M-V/def2-TZVPD.

Structure (ORCA input):
```
! wB97M-V def2-TZVPD RIJCOSX def2/J DEFGRID3
* xyz 2 1
Sc -0.529 0.333 0.089
B -3.136 0.948 0.645
N -3.268 -0.310 -0.236
C -4.302 -0.907 -0.827
C -3.835 -1.991 -1.560
C -2.464 -1.988 -1.366
N -2.116 -0.971 -0.561
N -2.648 2.186 -0.157
C -3.262 3.265 -0.633
C -2.317 4.089 -1.237
C -1.114 3.425 -1.078
N -1.309 2.268 -0.421
H -2.167 0.694 1.388
H -4.112 1.173 1.284
H -5.305 -0.536 -0.686
H -4.421 -2.684 -2.137
H -1.715 -2.660 -1.758
H -4.324 3.394 -0.505
H -2.487 5.042 -1.706
H -0.126 3.720 -1.395
N -0.040 -0.710 2.080
C 1.378 -0.568 2.500
C 1.846 0.827 2.150
N 1.589 1.061 0.703
H -0.642 -0.284 2.785
H -0.312 -1.692 2.082
H 1.969 -1.308 1.958
H 1.503 -0.767 3.563
+++
(End of the records of molecules)

For me, therapeutic relationships and collectives that celebrate dimensionality and creativity are at the heart of aliveness & repair. I have been on a healing journey by calling back the parts of me that have been weaponized, oppressed, extracted from, traumatized, and withheld from ancestral rooting. I want us to all become re-enchanted out of colonial flattening. My process has included a lifetime of dance, the theater arts, trauma healing, eco spiritual belonging, and lots of play through the hard stuff! I am another human doing my best as I practice decolonizing, reconnection, and queering/claiming the meaning of healing back from grip of oppression. I believe fiercely in a world to come that remembers every beings’ inherent belongingness and right to liberation. I believe our nature is care, our nature is thriving, our nature is love. This visioning is a prayer woven into all my work with those I support, my art, and life. Through our healing together, may we continue becoming the dream of our ancestors and of the earth.

Molecular data, kept here for reference >
=====
(1)
DFT (ωB97M-V with the def2-TZVPD basis set) results for 13 unconnected molecules or ions with the total composition C43H75Cl24FNO4.

The geometry in XYZ format:
```
148
Properties=species:S:1:pos:R:3:forces:R:3:mulliken_charge:R:1
C -3.0018 -2.6896 0.0797 1.12 1.37 -1.14 -0.6323
C -2.1917 -1.4829 -0.6683 -0.10 -0.54 0.14 -0.4358
C -0.9028 -1.0215 0.1907 0.18 -1.55 -2.10 -0.8150
C 0.1242 -0.0929 -0.6112 1.67 0.61 0.20 0.5236
C 0.3962 -0.5413 -2.1279 -0.38 0.73 -1.14 -0.8841
C 1.6211 0.2618 -2.8200 3.12 1.73 0.05 0.1268
C 1.7186 1.8143 -2.6259 1.71 -1.80 -1.20 -0.4568
C 2.8560 2.7001 -3.1922 -0.24 -4.73 -0.59 -0.8426
C 3.9822 1.9722 -4.0006 -2.47 -0.55 1.22 0.7831
C 5.1821 2.9003 -4.5380 -0.04 -1.62 0.97 -1.2131
C 3.9064 0.4213 -4.2473 -2.17 1.42 2.17 -0.6769
C 2.7363 -0.4539 -3.6663 1.22 3.70 1.71 -0.5620
C 1.5364 -0.0408 0.2129 -0.57 0.17 1.29 0.1941
C 2.2840 -1.4589 0.2753 -0.41 -0.79 -0.81 0.6400
C 3.7637 -1.4712 -0.3417 0.41 -0.48 0.76 0.5292
C 4.2783 -2.9716 -0.7225 -0.21 1.30 0.04 -0.2089
C 3.4260 -3.6094 -1.9179 0.73 -0.22 -0.47 0.6749
C 3.2776 -5.2095 -1.8992 -1.21 0.00 -1.93 -0.9043
O 3.4065 -5.8447 -0.5975 -1.79 1.56 1.02 -0.2958
C 2.3397 -5.5249 0.2805 -2.35 0.15 0.94 0.6788
C 2.7580 -5.3573 1.8403 1.27 -0.60 -0.79 -0.4097
O 1.1292 -5.4091 -0.0282 4.34 -0.16 0.22 -0.5842
C 1.1358 0.5343 1.6923 0.92 -0.60 -0.99 -1.6326
C -0.0683 -0.2783 2.3679 2.33 0.73 1.50 0.4789
C -0.2844 0.3170 3.8389 0.23 -1.20 0.94 0.1089
C -1.6345 -0.1306 4.5764 0.45 1.20 0.25 0.4812
F -0.1170 1.7722 3.9078 -0.56 -2.10 -0.40 -0.4792
N -1.3065 -0.3901 1.5224 -0.13 0.02 -0.18 0.7922
C -2.1043 0.8777 1.3578 -1.79 2.21 -0.65 0.4787
C -3.6143 0.8019 1.9202 -0.62 -0.17 0.04 -0.2129
C -4.7325 0.5084 0.8038 -0.69 0.78 0.35 -1.3626
C -4.8820 1.6259 -0.3419 -1.30 -0.84 -0.61 0.1625
C -6.3047 1.3186 -1.0834 -0.55 -0.54 1.56 -0.5737
O -6.1415 0.9730 -2.4870 -1.83 -1.21 0.51 -0.2726
C -7.0627 -0.0410 -2.8955 0.84 -3.30 -2.93 0.5808
C -8.6180 -0.0734 -2.5134 0.35 0.53 1.31 -0.7859
O -6.6382 -0.9823 -3.6263 -1.31 4.11 2.97 -0.5402
H -3.7906 -3.0297 -0.6775 0.90 0.37 1.49 0.4434
H -2.2243 -3.5202 0.2295 -1.37 1.04 0.07 0.3450
H -3.4438 -2.2898 1.0520 0.51 -0.96 -1.41 -0.4176
H -1.9000 -1.9275 -1.6959 0.01 0.98 1.78 0.5516
H -2.8533 -0.5810 -0.8994 0.79 -1.25 0.33 -0.1533
H -0.3758 -2.0093 0.4916 -0.66 1.64 -0.47 0.2640
H -0.2308 1.0091 -0.6593 0.27 -1.84 0.18 0.2905
H -0.5410 -0.2389 -2.7411 1.39 -0.64 0.88 0.6775
H 0.5021 -1.6788 -2.2586 0.08 1.72 0.29 -0.0366
H 0.8740 2.2888 -2.0076 1.49 -0.62 -1.09 0.1923
H 2.8483 3.8251 -2.9826 0.20 -1.89 -0.42 0.5130
H 5.2327 2.8464 -5.6755 -0.06 0.35 1.56 0.3104
H 6.1539 2.4522 -4.0988 -1.42 0.73 -0.84 0.2744
H 5.0803 3.9548 -4.1161 0.04 -1.58 -0.85 0.2701
H 4.7660 -0.0654 -4.8418 -1.66 0.80 1.05 0.2534
H 2.7134 -1.5869 -3.8585 0.01 2.06 0.38 0.6738
H 2.2684 0.7228 -0.2162 -1.24 -1.02 0.32 0.6893
H 2.3524 -1.9152 1.3277 -0.26 0.85 -1.35 -0.4129
H 1.6278 -2.1990 -0.3316 1.12 0.99 0.98 -0.4725
=====


As a drama therapist, I support you to honor the multiplicity of roles in life. This invitation is about accepting that all parts of us, traumatized and all, serve as wise guides. I aim to organize myself alongside you as creative and gentle accompaniment, as we navigate the contradictions, wounds, and joys of being alive. Our work together will seek to illuminate the roles you play, those buried/lost, and those you long to become. We bring these parts of self into relationship, connection, & agency. We may utilize expressive arts, embodiment, movement, playfulness/humor, trauma healing somatics, verbal process, and more along the path.

In our work together, we will center on what promotes resource, joy, and endurance. My hope is to support you towards more fully inhabiting your aligned values and desires. I hope these connections we make together, bridge you to many other spaces, communities, and resourceful webs in your life. I am deeply influenced and in awe of the courage in the recovery and peer centric communities, that more often do not hide behind white supremacist professionalism and title hierarchies. I do my best to show up with all parts of me in our work together, seeking to co-create boundaries around your care needs and mine. Together I hope to disrupt the inherent power dynamic that can be loaded onto the title “healer” or “therapist” by practicing negociation of care and earnest movement through any rupture. May we be anchored to clear and kind boundaries.

• Between two parts of the page: calculated molecules:
/*
# 1
122
Properties=species:S:1:pos:R:3 method="wB97M-V/def2-TZVPD" largest_force_ha_per_bohr=0.011 total_charge=+3 gap_ev=5.511 mol_weight_g_mol=1391.590 de_lowest_ev=0.144 e_homo_ha=-0.549
Pd 0.91 -0.12 0.32
C 2.02 4.12 -1.98
Sb 1.53 2.03 -2.02
C 1.77 1.75 0.18
C 1.21 2.82 1.05
C 0.14 3.65 0.68
C -0.27 4.66 1.53
C 0.42 4.86 2.71
C 1.50 4.03 2.99
N 1.87 3.03 2.19
Si 3.43 0.99 0.73
C 3.36 -1.04 -1.36
C 5.05 3.24 0.19
C 3.89 0.83 2.53
C -0.67 1.86 -2.35
C -1.48 1.62 -1.11
C -2.73 2.24 -0.93
C -3.53 1.99 0.16
C -3.10 1.07 1.11
C -1.87 0.48 0.90
N -1.07 0.74 -0.16
Si -0.93 0.29 -3.46
C 0.17 -1.10 -2.81
C -2.73 -0.26 -3.33
C -0.46 0.54 -5.24
Si -1.21 3.41 -3.39
C -1.35 4.94 -2.31
C -2.87 3.12 -4.23
C 0.06 3.73 -4.75
H 3.11 4.15 -2.06
H 1.71 4.63 -1.07
H 1.61 4.63 -2.85
H -0.35 3.53 -0.27
H -1.09 5.31 1.25
H 0.16 5.66 3.39
H 2.08 4.17 3.89
H 2.85 -0.28 -1.95
H 2.86 -2.00 -1.54
H 4.39 -1.13 -1.71
H 5.78 3.72 -0.46
H 5.43 3.30 1.21
H 4.13 3.82 0.15
H 3.82 -0.20 2.89
H 3.28 1.47 3.16
H 4.93 1.13 2.63
H -3.09 2.93 -1.68
H -4.48 2.50 0.27
H -3.68 0.81 1.98
H -1.49 -0.23 1.61
H 0.42 -0.78 -1.79
H 1.10 -1.17 -3.38
H -0.31 -2.08 -2.83
H -3.17 -0.07 -2.35
H -2.81 -1.33 -3.54
H -3.34 0.25 -4.07
H 0.55 0.93 -5.35
H -1.13 1.17 -5.81
H -0.47 -0.45 -5.72
H -1.98 4.84 -1.43
H -1.80 5.72 -2.93
H -0.38 5.32 -1.99
H -3.61 2.59 -3.63
H -2.75 2.56 -5.16
H -3.30 4.08 -4.50
H 1.03 3.26 -4.62
H 0.23 4.80 -4.83
H -0.33 3.40 -5.71
I 3.53 -3.44 1.44
C 4.25 -1.53 0.73
C 5.56 -1.35 0.87
C 6.39 -0.24 0.35
C 6.11 0.99 -0.10
C 4.83 1.77 -0.23
N 3.33 -0.71 0.08
H 6.13 -2.12 1.37
H 7.44 -0.50 0.35
H 6.98 1.56 -0.41
H 4.56 1.76 -1.29
Te -2.25 -2.75 -0.44
C -2.55 -4.78 -0.82
C -2.82 -5.67 0.22
C -2.98 -7.01 -0.08
C -2.86 -7.45 -1.39
C -2.59 -6.56 -2.42
C -2.43 -5.21 -2.14
C -3.44 -2.57 1.29
C -3.06 -2.02 2.51
C -4.01 -1.89 3.51
C -5.32 -2.28 3.28
C -5.70 -2.81 2.05
C -4.75 -2.95 1.04
H -2.95 -5.32 1.24
H -3.21 -7.72 0.71
H -2.99 -8.50 -1.62
H -2.52 -6.90 -3.44
H -2.24 -4.50 -2.94
H -2.05 -1.68 2.69
H -3.73 -1.47 4.46
H -6.06 -2.17 4.06
H -6.72 -3.11 1.87
H -5.06 -3.38 0.09
N 0.27 0.29 8.27
C 0.37 0.24 7.12
C 0.48 0.17 5.69
C -0.16 1.11 4.89
C -0.05 0.98 3.51
N 0.64 0.00 2.92
C 1.26 -0.88 3.71
C 1.21 -0.85 5.09
H -0.72 1.92 5.32
H -0.53 1.70 2.86
H 1.85 -1.65 3.21
H 1.74 -1.58 5.68
C 0.87 -4.85 -0.56
Te 0.48 -3.02 0.44
C -0.03 -3.91 2.30
H -0.08 -5.30 -0.85
H 1.39 -5.46 0.18
H 1.49 -4.63 -1.42
H 0.90 -4.19 2.78
H -0.64 -4.79 2.08
H -0.57 -3.20 2.89



# 2
135
Properties=species:S:1:pos:R:3 method="wB97M-V/def2-TZVPD" largest_force_ha_per_bohr=0.017 smiles="CCCCCCCCCCC[C@@]1(Cl)C[C@@H](P(=O)(O)O)[C@@H](O)OS1(=O)=O.c1cc[nH]c1.c1cc[nH]c1.c1cc[nH]c1.c1cc[nH]c1.c1cc[nH]c1.c1cc[nH]c1.c1cc[nH]c1.c1cc[nH]c1" gap_ev=8.122 mol_weight_g_mol=957.620 e_homo_ha=-0.293
C 4.36 -3.28 1.79
C 4.49 -3.57 0.30
C 4.20 -2.35 -0.60
C 3.02 -2.55 -1.55
C 1.65 -2.53 -0.84
C 1.24 -1.12 -0.40
C -0.27 -0.96 -0.21
C -0.82 0.47 -0.41
C -1.00 1.30 0.86
C 0.24 1.44 1.77
C 0.56 2.85 2.30
C 1.20 4.00 1.47
*/


I support folx to mitigate shame from harmful systems/environments that we live under and within, that we resist through. Living through late stage racialized capitalism and a cis-hetero abelist patriarchal paradigm, I honor that healing looks like compassionate harm reduction & resilience. Healing is all that dismantles capitalistic and product centric frames of wellness, and instead defines wellbeing by your own knowing & affirming community.

Especially for communities which have been historically and systemically excluded, undervalued, dehumanized, and tortured by the fields of health, I understand trauma healing to be a practice of remembering your power (Thank you Alexis Pauline Gumbs). Waking from the myths of disempowerment taught by colonization, white supremacy, individualism and capitalism, means to call ourselves back (Joy Harjo). To remember that we all have innate healing abilities, the capacity for caring relationship, and strategic survival. I look forward to connecting with you to see if we may be a fit to partner along your path.